[Given]
The following is a DFT calculation (PBE+U) of a relaxed structure of NpNiO5.

DOS at the Fermi energy: 11.45 states/eV per cell
DFT total energy: -209.986 eV/cell

Geometry as extended XYZ:
```
28
Lattice="-1.294 -3.528 -3.673 3.869 -2.887 5.577 -8.531 -1.970 4.898" Properties=species:S:1:pos:R:3 pbc="T T T"
O -7.143 -4.400 4.396
O 2.573 -4.273 4.773
O -1.053 -4.195 3.982
O -0.937 -3.060 1.006
O -3.202 -6.995 3.824
O -4.903 -4.191 2.820
O -0.702 -6.511 2.563
O -2.604 -5.193 1.638
O -5.019 -5.326 5.796
O -1.670 -4.062 -1.771
O -2.754 -1.391 2.978
O -8.528 -4.113 2.029
O 0.111 -5.179 0.223
O -4.286 -4.325 8.573
O 1.188 -3.986 2.406
O -5.253 -1.875 4.239
O -3.688 -2.551 0.713
O -2.268 -5.835 6.090
O -3.351 -3.193 5.164
O -6.066 -3.208 6.580
Np -5.832 -5.073 7.889
Np -1.425 -3.889 5.768
Np -0.123 -3.313 -1.087
Np -4.531 -4.497 1.034
Ni -2.029 -1.492 1.043
Ni -3.926 -6.894 5.759
Ni -0.708 -4.692 1.976
Ni -5.248 -3.694 4.826
```

=====

## BaSc2Os (GGA-PBE)

Data for BaSc2Os after structural relaxation.

Unit cell a=3.314 b=3.314 c=9.566 alpha=90.00 beta=90.00 gamma=89.98
Sites, in units of the cell vectors:
Os: 0.500 0.500 0.750
Ba: 0.500 0.500 0.250
Sc: 0.000 0.000 0.592
Sc: 0.000 0.000 0.908

Summary:
energy relative to the lowest polymorph listed for this composition: 0.0 meV per atom
space-group type: No. 123
energy of formation from the pure elements: -108 meV per atom

[Job]
Give back the part of the rows further above that starts with the line with "-4.286 -4.325" and stops after the one with "-4.531 -4.497".

[Result]
O -4.286 -4.325 8.573
O 1.188 -3.986 2.406
O -5.253 -1.875 4.239
O -3.688 -2.551 0.713
O -2.268 -5.835 6.090
O -3.351 -3.193 5.164
O -6.066 -3.208 6.580
Np -5.832 -5.073 7.889
Np -1.425 -3.889 5.768
Np -0.123 -3.313 -1.087
Np -4.531 -4.497 1.034